March 18, 2006

Your Money

Opening the Door on the Credit Report and Throwing Away the Lock


In a dozen states, legislatures have set up procedures for residents afraid of identity theft to lock and unlock their credit reports.

But credit-reporting agencies are pushing Congress to override the state laws, which could make it harder for Americans to keep their credit information under wraps.

Lobbyists for the big agencies — Equifax, Experian and TransUnion, owned by the Marmon Group — are seeking to add an amendment to the Financial Data Protection Act, a bill being rewritten by the House of Representatives. (A similar bill, S1408, is working its way through the Senate.) While the wording has not been set for the bill, also known as HR3997, lobbyists for the credit agencies are pushing for a law that limits the ability to lock credit reports to victims of identity theft. Moreover, the reports could be unlocked with five days' advance notice.

Once a report is locked, an agency cannot release any of its details.

Consumer groups are upset that a federal law might supersede what has been done at the state level.

"Is Congress going to go soft on crime?" asked Abigail Caplovitz, legislative advocate at the New Jersey Public Interest Research Group. Her group thinks that a law it pushed through the New Jersey Legislature last year cuts down on identity theft because it makes it relatively easy and inexpensive for consumers to lock and unlock their credit reports. "Unless a credit freeze is user-friendly, it is useless because it won't be used," Ms. Caplovitz said.

Even if Congress does nothing, protecting credit information is going to become more complicated and inconvenient as more states pass laws that try to balance protecting consumers and protecting the credit-reporting industry.

Before we get to the advice, let's take a look at what is at stake here. The New Jersey law, which went into effect in January, permits any resident to freeze access to a credit report free. A thaw costs the consumer $5 an agency. The law also calls on the agencies to set up technology allowing credit to be thawed as quickly as 15 minutes after notification. Utah recently passed a bill, as yet unsigned by the governor, that would require the credit agencies, by 2008, to switch a lock on or off in 15 minutes.

The lag time is important because a three- or five-day delay could prevent a person from making a spur-of-the-moment purchase. Merchants may lose sales if they have to wait several days before they can verify a customer's creditworthiness. By then the consumer's urge to buy may pass — which, for some people, might not be such a bad thing.

Getting Americans to spend less and save more is not what the credit-reporting agencies are after. And there is no technological barrier that makes a quick unlock impossible. They are concerned that each state will have different rules and prices. That is already happening. Nevadans pay the most: $15 to lock and $18 to unlock. It is free in Illinois, Texas, Washington and Vermont, but only fraud victims can do it.

The agencies also dislike laws like New Jersey's because they fear that making it too easy to lock a credit report may ruin their business in the way that the Do Not Call list decimated the phone solicitation business. The companies' main business is selling credit information to potential lenders, insurers and even employers.

The ability to turn credit reports on and off is a "false promise," said Stuart Platt, president of the Consumer Data Industry Association, the trade group that represents the credit reporting industry. He said it could damage an industry that has helped to reduce the cost of credit by helping lenders manage risk.

Locking reports, however, does not stop credit card solicitations. That can already be done by calling 888-5OPTOUT (888-567-8688). The ban lasts five years.

Congress will not take a vote on the full Financial Data Protection Act until fall. In the meantime, the confusion in the current system presents an opportunity for businesses to charge consumers who want to protect themselves. They have already scared Americans with statistics like, nine million Americans were victims of identity theft. Never mind that most cases labeled identity theft are simple fraud resulting from a lost or stolen credit card, according to Federal Trade Commission statistics. A consumer's liability is limited to $50 in those cases.

But the marketing campaigns seem to be working. Ten million Americans already pay about $100 a year to protect their credit information. In other words, it is already a $1 billion industry. Consumers will probably be paying more, though they don't always need to.

There are various levels of protection. Every year, a person can go to for a free copy of all three credit reports or space them out over several months. There is no reason to ever pay for this service. Look it over for errors. (Making sense of credit scores, which determine your rate of interest, may be getting easier. This week, the three agencies said they had created a VantageScore, a single scoring system that each company will use.)

If you are worried about someone opening accounts in your name, you can call or write one of the agencies to put a fraud alert on your account. Each has the responsibility to alert the other two. The protection lasts 90 days. An additional 90 days are available but you will have to write to each credit bureau and ask. You have to keep doing this for as long as you want lenders to double-check with you.

When this fraud alert works correctly, lenders are supposed to take extra precautions before extending credit, but they do not have to do this. It could be a simple as asking for additional identification, but others may want to call you and ask for other information.

[Inserted here: crystal structures]
-- begin --
# 1
Density functional theory data (meta-GGA SCAN) for a PBEsol-optimized structure of YInSb2.

a = 4.155 Å, b = 4.155 Å, c = 6.329 Å
α = 90.00°, β = 90.00°, γ = 90.00°
Atoms (fractional coordinates):
In  0.500  0.500  0.790
Sb  0.000  0.000  0.938
Y  0.000  0.000  0.445
Sb  0.500  0.500  0.327

Properties
formation energy without anion corrections: -0.57 eV/atom

=====

# 2
Density functional theory data (meta-GGA SCAN) for a PBEsol-optimized structure of YIn2Ru.

a = 4.452 Å, b = 4.449 Å, c = 5.137 Å
α = 115.67°, β = 115.68°, γ = 90.00°
Atoms (fractional coordinates):
In  0.750  0.250  0.500
In  0.000  0.000  0.000
Ru  0.500  0.499  0.999
Y  0.250  0.750  0.500

Properties
energy of formation from the pure elements: -168 meV per atom

~~~~~

The following is a DFT calculation (PBE) of a geometry-optimized HgBSe2Br structure.

a b c (Å): 5.2431 5.2431 5.6714
angles (deg): 90.00 90.00 90.00
Sites, in units of the cell vectors:
Hg  0.0000  0.0000  0.0000
B  0.5000  0.5000  0.5000
Se  0.0000  0.5000  0.0000
Se  0.5000  0.0000  0.0000
Br  0.0000  0.0000  0.5000

Summary:
Magnetic moment ... 0.178 μB/atom
E_form (uncorrected) ... 1359 meV/atom
Relative energy among the computed polymorphs ... 739 meV per atom

~~~~~

A relaxed structure of CaIn12Pt6. Source: the Alexandria database, functional PBE.

Unit cell a=12.5673 b=12.5673 c=9.3556 alpha=90.00 beta=90.00 gamma=120.00
Space group R-3m (No. 166, hexagonal axes)
One atom of each set of equivalent atoms:
Ca: 0.0000 0.0000 0.0000
In: 0.0000 0.3829 0.5000
In: 0.0848 0.1696 0.3195
Pt: 0.0481 0.5241 0.2485

The value obtained for the total energy is -4.13 eV/atom. As for the formation energy: -384 meV per atom. For the theoretical density, the calculation gives 10.077 g/cm3.
-- stop --

One drawback of fraud alert is that you may find it difficult to take advantage of instant-credit offers at stores. (Though this, too, might not be a bad thing. Opening too many lines of credit in a short period of time will harm your credit score.) Sometimes you may be denied credit because the lender does not want to go through the extra verification.

Another drawback is that while it is simple to sign up for a fraud alert, it is difficult to get off the list when you find it more trouble than it is worth. You have to make the request in writing and provide documents attesting to your identity.

An alternative is credit monitoring, but these services will cost you. TransUnion's TrueCredit offers three-bureau credit monitoring for $15 a month, while Equifax's Credit Watch Gold is $13 a month, also for three bureaus. A consumer is notified by e-mail after a new credit card has been issued or when a chunk of a home equity line of credit has been used. But after a while, those messages sound like the little boy who cried wolf and you might start ignoring them.

"They tell you after the fact," says Scott Mitic, vice president for business development at TrustedID, a start-up company that intends to take advantage of the confusion surrounding the protection of credit information. "It is this reactive system that irked us."

Mr. Mitic, a former executive with Fair Isaac, the company that created the formulas for computing credit scores, and Omar Ahmad, chief technology officer at TrustedID, were introduced on what they call an "entrepreneurial blind date." They discovered a shared interest in identity theft and they came up with a way to profit from it.

"No one will confuse the credit bureaus' customer service with Nordstrom's," said Mr. Ahmad, a former chief information officer at Napster.

TrustedID plans to automate the process of locking and unlocking credit reports. When you want your credit locked or unlocked, for instance, when you intend to buy a car or apply for a mortgage, TrustedID will send the agencies all the paperwork and the fees and charge you $8 a month or $90 a year.

You could do it yourself for far less, especially if you live in one of those states where the service is free. But the company is counting on the process being so onerous that you would pay them to do it instead. Indeed, the notion that people will pay extra for the convenience of protecting their credit reports is so compelling that the company has attracted financing from one of Silicon Valley's top venture capital firms, Draper Fisher Jurvetson.

The bottom line: Those few people who have been victimized by identity thieves — not credit-card thieves — and continue to be vulnerable should take the extra precautions. For everyone else, all these services are just going to be one more hassle.
